Have you ever heard the question:'Is healing is in the atonement?' Or maybe, 'Do you believe every sin is covered in the atonement?' (Often asked because the person asking is struggling with something they have done)
We use the word 'atonement' not really understanding it from the perspective of Leviticus, which is a type of life in Christ.
The atonement
The word 'atonement' in Hebrew means to cover something, in ancient usage to cover wood with pitch - like a paint layer, like a waterproofing layer of tar over wood. But it is more than that, for the word carries the significance of meaning the two parts become one by the covering over of the pitch; the first covered by the other making them one.
The covering causes everything to stop, rest, be at peace, for it is the final act in that woodworking project. Once it was covered, the craftsman was done. There can be no further wood working once it is covered over. There is nothing more to do at all, the two have become one.
Between two parts of the article: quantum chemistry results:
/*
[1]
*/
For that reason it is atonement, translated as 'at-one-ment'.
Consider those 3 parts:"At-one-ment". Atonement. It is the act of being 'at one' with Christ. It is the moment of becoming at-one. His covering has made us one with Him, and He with us. He is stuck to us and we to Him like pitch sticks to wood, and wood to pitch, becoming one unit.
"At-one-ment (At one moment or 'at that one moment') means all the questions that start with:"Do you think ____ is covered in the atonement", obsolete. The burnt offering and other offerings of Leviticus relate to and are all about making at-one-ment for Israel. EVERYTHING is covered. When a person offered a burnt offering for their atonement, they became at-one-at that moment; with God.
Being covered by God means there is wholeness in His presence. Not just healing, but wholeness. Not just physical and emotional and mental healing, but wholeness. Oneness. Completeness. Rest. No more to do for nothing can be done. Not just prosperity. Not just peace. We have experienced 'at-one-ment' with God.
In Christ
[1]
Formula: C5H6NO
Source: OMol25
Level of theory: ωB97M-V/def2-TZVPD

Each line ends with the natural charge from an NBO analysis.
Positions of all 13 atoms, in Å:
C  -1.27439  1.80956  0.22780  0.380
C  -1.97412  -0.60004  -0.07953  -0.046
C  -1.01024  -1.44471  0.02928  0.106
C  0.75908  0.04859  -0.33867  0.577
C  1.95998  0.68945  0.24172  -0.745
N  -1.74441  0.79705  -0.01370  -0.553
O  0.37199  -1.01758  0.22603  -0.376
H  -2.99440  -0.91911  -0.18588  0.285
H  -0.97288  -2.49597  -0.23196  0.263
H  0.24079  0.36076  -1.22148  0.218
H  1.74493  1.49318  0.97961  0.333
H  2.44450  1.30223  -0.43077  0.282
H  2.44917  -0.02341  0.79755  0.277

The highest occupied orbital energy is -15.9 eV. The total charge is +1. Its total energy is -8808.458 eV. The value obtained for the energy relative to the best compared isomer or geometry (same formula, charge and spin) is 433.52 kJ/mol. For the HOMO-LUMO gap, the calculation gives 9.7884 eV.

[2]
Formula: C5H6NO
Source: OMol25
Level of theory: ωB97M-V/def2-TZVPD

Each line ends with the natural charge from an NBO analysis.
Positions of all 13 atoms, in Å:
C  -0.43539  -2.07082  0.77838  0.487
C  -0.80112  -1.16534  -0.03655  -0.371
C  -0.45622  0.67833  -0.96797  -0.288
C  -0.14677  0.19604  0.55823  -0.080
C  1.27601  0.15827  0.99383  -0.632
N  -1.20050  -0.48290  -1.23579  0.345
O  -2.02756  -0.71685  -2.03875  -0.060
H  -0.79342  1.64438  -1.16389  0.285
H  0.67521  0.62143  -1.44153  0.310
H  -0.85005  0.56893  1.34113  0.269
H  2.02277  -0.33203  0.26257  0.243
H  1.24237  -0.24281  1.97412  0.257
H  1.49466  1.14338  0.97622  0.235

The highest occupied orbital energy (spin up / spin down) is -16.6 / -16.6 eV. The total charge is +1. Its total energy is -8803.492 eV. The value obtained for the energy relative to the best compared isomer or geometry (same formula, charge and spin) is 912.62 kJ/mol. For the HOMO-LUMO gap (spin up / spin down), the calculation gives 8.8079 / 8.8072 eV.

total energy of number 2 (C5H6NO)? -8803.492 eV
I've mentioned before that in the New Testament there are over 120 terms like 'in Him' and 'He (Christ) in us' describing us being one with the Lord through the blood of the cross. The offerings of Leviticus which atoned for Israel's sins were pictures off Jesus' cross to come. The burnt offerings were completely burned so that nothing was left of the sin. That made the worshipper experience an 'at-one-moment' with God. They became one because no sin stood between them and God any longer. And it was all God's doing.
That is the thoroughness of the work of the Lord. The accuser of the brethren would like us to forget that fact and brings up our memories - but the sin of those actions was long ago covered, sealed over, burned up completely so that nothing is left! We are truly "at-one" in a moment of time, with the Lord. At-one-ment.
Memories are left that we might learn from them and know from which we've been saved, or if done while in Christ, that we may know His continued grace and forgiveness and learn our lesson. But spiritually those sins no longer exist, thus Satan begins a mind-game with us. We must put those thoughts of accusation and condemnation away, bringing thoughts and feelings captive to Christ, for we have experienced at-one-ment with God. The burnt offerings are a type of the completeness accomplished by Jesus on the cross, and at-one-ment is the result. At one.
Running from God
The nature of sin causes man to move away from God; to do anything he can to avoid God. When Adam and Eve sinned they hid themselves from the Lord. When God spoke from the Mount Israel backed away from it, which led to them rejecting their whole-nation priesthood. In The Revelation 6:15-16 the unsaved try to hide themselves from the Lord in caves and crevices.
Sinners run from God sometimes because they know they are sinners, sometimes intuitively they avoid Him without knowing why. John 3:19-21 tells us that light came into the world but men love the darkness lest their lives be exposed. But those who love righteousness want the light.
Between two parts of the entry: data records:
/*
Entry from the OMol25 dataset: C27H34BCl4N6O2PtS3 as an isolated structure (ωB97M-V/def2-TZVPD).

The total charge is -1. The value obtained for the strongest force on any atom is 0.0212 hartree/bohr. Its HOMO energy is -3.2 eV. As for the spin multiplicity: 1. For the frontier orbital gap, the calculation gives 5.34 eV.

Cartesian coordinates (Å):
Pt: 0.463 1.465 -0.202
C: 4.978 1.413 2.357
C: 5.346 0.231 1.458
C: 5.917 0.689 0.117
C: 6.416 -0.593 2.173
N: 4.146 -0.622 1.232
C: 4.031 -1.939 1.659
C: 2.818 -2.368 1.281
N: 2.166 -1.343 0.612
B: 0.724 -1.670 0.106
N: -0.443 -1.191 1.044
C: -1.602 -1.933 1.051
C: -2.455 -1.388 1.935
N: -1.817 -0.286 2.486
C: -0.596 -0.174 1.915
S: 0.595 1.067 2.195
C: -2.405 0.591 3.544
C: -2.545 2.022 3.035
C: -3.802 0.076 3.888
C: -1.532 0.508 4.795
N: 0.350 -1.540 -1.438
C: -0.180 -2.702 -1.974
C: -0.574 -2.473 -3.234
N: -0.294 -1.146 -3.505
C: 0.280 -0.588 -2.409
S: 0.844 1.060 -2.406
C: -0.638 -0.479 -4.794
C: 0.623 0.046 -5.480
C: -1.665 0.627 -4.534
C: -1.280 -1.505 -5.729
C: 2.987 -0.277 0.601
S: 2.677 1.270 -0.060
H: 5.876 1.999 2.564
H: 4.566 1.052 3.300
H: 4.238 2.056 1.888
H: 6.820 1.275 0.294
H: 5.208 1.304 -0.433
H: 6.174 -0.175 -0.498
H: 7.285 0.047 2.323
H: 6.730 -1.455 1.581
H: 6.079 -0.934 3.153
H: 4.800 -2.456 2.197
H: 2.355 -3.326 1.428
H: 0.695 -2.867 0.247
H: -1.744 -2.772 0.396
H: -3.462 -1.665 2.172
H: -3.217 2.050 2.177
H: -1.592 2.445 2.728
H: -2.969 2.640 3.829
H: -4.453 0.067 3.013
H: -4.237 0.760 4.616
H: -3.775 -0.922 4.332
H: -0.535 0.900 4.607
H: -1.448 -0.528 5.132
H: -1.994 1.096 5.591
H: -0.252 -3.606 -1.400
H: -1.054 -3.133 -3.927
H: 1.103 0.829 -4.900
H: 0.350 0.455 -6.455
H: 1.338 -0.766 -5.630
H: -1.257 1.412 -3.904
H: -2.541 0.213 -4.032
H: -1.971 1.059 -5.489
H: -0.599 -2.326 -5.964
H: -1.527 -0.996 -6.660
H: -2.204 -1.909 -5.314
Cl: -6.317 3.542 0.276
C: -4.940 2.550 -0.110
C: -5.110 1.249 -0.521
Cl: -6.702 0.559 -0.656
C: -3.975 0.469 -0.822
Cl: -4.159 -1.187 -1.355
C: -2.672 0.954 -0.700
O: -1.619 0.264 -0.923
C: -2.495 2.331 -0.272
O: -1.296 2.801 -0.151
C: -3.635 3.077 0.007
Cl: -3.401 4.718 0.545

---

Entry from the OMol25 dataset: C39H73CrGeN5O6P3 as an isolated structure (ωB97M-V/def2-TZVPD).

The total charge is -1. Its expectation value of S² is 6.02. The value obtained for the strongest force on any atom is 0.0105 hartree/bohr. Its HOMO energy (alpha / beta) is -4.4 / -4.7 eV. As for the spin multiplicity: 5. For the frontier orbital gap (alpha / beta), the calculation gives 6.85 / 7.13 eV.

Cartesian coordinates (Å):
Cr: -0.185 -0.388 0.793
C: 0.928 -2.942 5.896
N: 0.902 -1.777 5.031
C: 1.506 -0.597 5.612
P: -0.302 -1.628 3.861
O: 0.177 -0.576 2.881
O: -0.558 -3.003 3.323
P: -3.288 -1.810 1.779
O: -2.074 -1.267 0.865
N: -3.870 -3.202 0.967
C: -3.201 -4.414 1.421
C: -4.021 -3.177 -0.477
N: -4.577 -0.709 1.252
C: -5.937 -1.156 1.521
C: -4.367 0.624 1.813
N: -1.683 -1.011 4.570
C: -1.763 0.402 4.902
C: -2.449 -1.874 5.443
H: 1.964 -3.235 6.101
H: 0.428 -3.776 5.409
*/
When the Lord made the tabernacle He stopped talking to Israel from the Mountain, moving to the tabernacle, choosing to speak from the Mercy Seat in the depths of the Tabernacle. The move from mountain top to Tabernacle is found in Exodus 33:7-11 which says in part:
"...And as Moses entered the Tabernacle the cloudy pillar descended (from the mountain) and stood at the door of the Tabernacle. And the Lord talked to Moses...face to face as a man speaks to his friend..."
God created a system using the priesthood and system of sacrifices by which man, who was so afraid of the pure and almighty God, could be reconciled, and even approach God and know Him. He made a way that man and God could experience at-one-ment. God moved off the mountain into a tabernacle/temple, and then eventually from the building into human beings who would have Him. "Do you not know your body is the temple of the Holy Spirit who is in you?" (I Corinthians 6:19)
Jesus is our rest. Having Him in our lives causes us to experience by the Holy Spirit, at-one-ment with God. Unlike the Old Testament people who experienced at-one-ment in a way that had to be continually renewed with each sin and sacrifice, Christ now lives in our recreated spirit 24/7, having removed the barrier of sin in His burnt offering, giving us true at-one-ment for eternity with Him and our Heavenly Father by His Spirit. Amazing grace!
We'll close out the series next week, until then, blessings!
John Fenn
www.cwowi.org and email me at [email protected]